Return the calculation results below without altering anything.

********
(1)
Entry from Alexandria via LeMat-Bulk: a relaxed structure of KCe2GeO8 (PBE).

Unit cell a=4.5887 b=4.6269 c=8.0716 alpha=94.92 beta=93.57 gamma=93.50
Last column: nearest neighbours and their distance in Å.
Fractional coordinates of all 12 atoms:
K: 0.0000 0.0000 0.0000  8 O 2.71-2.94
Ce: 0.4448 0.4463 0.7123  5 O 2.19-2.39
Ce: 0.5552 0.5537 0.2877  5 O 2.19-2.39
Ge: 0.0000 0.0000 0.5000  6 O 1.90-1.97
O: 0.1015 0.7306 0.3131  1 Ge 1.97
O: 0.2548 0.8944 0.6795  1 Ge 1.92
O: 0.2931 0.2858 0.4567  1 Ge 1.90
O: 0.4977 0.6585 0.9942  1 O 1.48
O: 0.5023 0.3415 0.0058  1 O 1.48
O: 0.7069 0.7142 0.5433  1 Ge 1.90
O: 0.7452 0.1056 0.3205  1 Ge 1.92
O: 0.8985 0.2694 0.6869  1 Ge 1.97

Properties
- volume (A^3/atom) = 14.17
- E_form (uncorrected) (eV/atom) = -2.10
- magnetization (μB/cell) = 1.04

---

(2)
Entry from Alexandria via LeMat-Bulk: a relaxed structure of Sr3Ge8Pd3 (PBE).

Unit cell a=8.6716 b=8.6716 c=8.6716 alpha=150.88 beta=105.49 gamma=81.91
Last column: nearest neighbours and their distance in Å.
Fractional coordinates of all 14 atoms:
Sr: 0.0000 0.0000 0.0000  12 Ge 3.37-3.42, 4 Pd 3.66
Sr: 0.3138 0.3138 0.0000  8 Ge 3.23-3.27, 4 Pd 3.27-3.36
Sr: 0.6862 0.6862 0.0000  8 Ge 3.23-3.27, 4 Pd 3.27-3.36
Ge: 0.0262 0.6627 0.3635  1 Pd 2.61, 3 Ge 2.77-2.87
Ge: 0.1709 0.8812 0.2897  3 Pd 2.68-2.70, 3 Ge 2.77-2.96
Ge: 0.2992 0.6627 0.6365  1 Pd 2.61, 3 Ge 2.77-2.87
Ge: 0.4085 0.1188 0.2897  3 Pd 2.68-2.70, 3 Ge 2.77-2.96
Ge: 0.5915 0.8812 0.7103  3 Pd 2.68-2.70, 3 Ge 2.77-2.96
Ge: 0.7008 0.3373 0.3635  1 Pd 2.61, 3 Ge 2.77-2.87
Ge: 0.8291 0.1188 0.7103  3 Pd 2.68-2.70, 3 Ge 2.77-2.96
Ge: 0.9738 0.3373 0.6365  1 Pd 2.61, 3 Ge 2.77-2.87
Pd: 0.2798 0.5000 0.7798  6 Ge 2.61-2.68
Pd: 0.5000 0.0000 0.5000  4 Ge 2.70
Pd: 0.7202 0.5000 0.2202  6 Ge 2.61-2.68

Properties
- energy relative to the elements (eV/atom) = -0.43
- volume (A^3/atom) = 21.41
- offset from the most stable computed form (eV/atom) = 0.036
- magnetization (μB/cell) = 0.00

---

(3)
Entry from Alexandria via LeMat-Bulk: a relaxed structure of BiWN3 (PBE).

Unit cell a=4.0014 b=4.0014 c=4.0014 alpha=90.00 beta=90.00 gamma=90.00
Last column: nearest neighbours and their distance in Å.
Fractional coordinates of all 5 atoms:
Bi: 0.0000 0.0000 0.0000  12 N 2.83
W: 0.5000 0.5000 0.5000  6 N 2.00
N: 0.0000 0.5000 0.5000  2 W 2.00
N: 0.5000 0.0000 0.5000  2 W 2.00
N: 0.5000 0.5000 0.0000  2 W 2.00

Properties
- volume (A^3/atom) = 12.81
- E_form (uncorrected) (eV/atom) = 0.33
- magnetization (μB/cell) = 0.00

---

Repeat the second record exactly.
Entry from Alexandria via LeMat-Bulk: a relaxed structure of Sr3Ge8Pd3 (PBE).

Unit cell a=8.6716 b=8.6716 c=8.6716 alpha=150.88 beta=105.49 gamma=81.91
Last column: nearest neighbours and their distance in Å.
Fractional coordinates of all 14 atoms:
Sr: 0.0000 0.0000 0.0000  12 Ge 3.37-3.42, 4 Pd 3.66
Sr: 0.3138 0.3138 0.0000  8 Ge 3.23-3.27, 4 Pd 3.27-3.36
Sr: 0.6862 0.6862 0.0000  8 Ge 3.23-3.27, 4 Pd 3.27-3.36
Ge: 0.0262 0.6627 0.3635  1 Pd 2.61, 3 Ge 2.77-2.87
Ge: 0.1709 0.8812 0.2897  3 Pd 2.68-2.70, 3 Ge 2.77-2.96
Ge: 0.2992 0.6627 0.6365  1 Pd 2.61, 3 Ge 2.77-2.87
Ge: 0.4085 0.1188 0.2897  3 Pd 2.68-2.70, 3 Ge 2.77-2.96
Ge: 0.5915 0.8812 0.7103  3 Pd 2.68-2.70, 3 Ge 2.77-2.96
Ge: 0.7008 0.3373 0.3635  1 Pd 2.61, 3 Ge 2.77-2.87
Ge: 0.8291 0.1188 0.7103  3 Pd 2.68-2.70, 3 Ge 2.77-2.96
Ge: 0.9738 0.3373 0.6365  1 Pd 2.61, 3 Ge 2.77-2.87
Pd: 0.2798 0.5000 0.7798  6 Ge 2.61-2.68
Pd: 0.5000 0.0000 0.5000  4 Ge 2.70
Pd: 0.7202 0.5000 0.2202  6 Ge 2.61-2.68

Properties
- energy relative to the elements (eV/atom) = -0.43
- volume (A^3/atom) = 21.41
- offset from the most stable computed form (eV/atom) = 0.036
- magnetization (μB/cell) = 0.00

=====

DFT (GGA-PBE) results for a relaxed structure of ThAlI.

Lattice parameters (Å, degrees): 4.3209 4.3209 12.7672 99.97 99.97 60.00
Closest atoms and distances in Å follow each position.
Positions (direct):
Th 0.0555 0.0555 0.1626  6 Al 3.19-3.25, 3 I 3.29
********

(1)
Entry from Alexandria via LeMat-Bulk: a relaxed structure of KCe2GeO8 (PBE).

Unit cell a=4.5887 b=4.6269 c=8.0716 alpha=94.92 beta=93.57 gamma=93.50
Last column: nearest neighbours and their distance in Å.
Fractional coordinates of all 12 atoms:
K: 0.0000 0.0000 0.0000  8 O 2.71-2.94
Ce: 0.4448 0.4463 0.7123  5 O 2.19-2.39
Ce: 0.5552 0.5537 0.2877  5 O 2.19-2.39
Ge: 0.0000 0.0000 0.5000  6 O 1.90-1.97
O: 0.1015 0.7306 0.3131  1 Ge 1.97
O: 0.2548 0.8944 0.6795  1 Ge 1.92
O: 0.2931 0.2858 0.4567  1 Ge 1.90
O: 0.4977 0.6585 0.9942  1 O 1.48
O: 0.5023 0.3415 0.0058  1 O 1.48
O: 0.7069 0.7142 0.5433  1 Ge 1.90
O: 0.7452 0.1056 0.3205  1 Ge 1.92
O: 0.8985 0.2694 0.6869  1 Ge 1.97

Properties
- volume (A^3/atom) = 14.17
- E_form (uncorrected) (eV/atom) = -2.10
- magnetization (μB/cell) = 1.04

---

(2)
Entry from Alexandria via LeMat-Bulk: a relaxed structure of Sr3Ge8Pd3 (PBE).

Unit cell a=8.6716 b=8.6716 c=8.6716 alpha=150.88 beta=105.49 gamma=81.91
Last column: nearest neighbours and their distance in Å.
Fractional coordinates of all 14 atoms:
Sr: 0.0000 0.0000 0.0000  12 Ge 3.37-3.42, 4 Pd 3.66
Sr: 0.3138 0.3138 0.0000  8 Ge 3.23-3.27, 4 Pd 3.27-3.36
Sr: 0.6862 0.6862 0.0000  8 Ge 3.23-3.27, 4 Pd 3.27-3.36
Ge: 0.0262 0.6627 0.3635  1 Pd 2.61, 3 Ge 2.77-2.87
Ge: 0.1709 0.8812 0.2897  3 Pd 2.68-2.70, 3 Ge 2.77-2.96
Ge: 0.2992 0.6627 0.6365  1 Pd 2.61, 3 Ge 2.77-2.87
Ge: 0.4085 0.1188 0.2897  3 Pd 2.68-2.70, 3 Ge 2.77-2.96
Ge: 0.5915 0.8812 0.7103  3 Pd 2.68-2.70, 3 Ge 2.77-2.96
Ge: 0.7008 0.3373 0.3635  1 Pd 2.61, 3 Ge 2.77-2.87
Ge: 0.8291 0.1188 0.7103  3 Pd 2.68-2.70, 3 Ge 2.77-2.96
Ge: 0.9738 0.3373 0.6365  1 Pd 2.61, 3 Ge 2.77-2.87
Pd: 0.2798 0.5000 0.7798  6 Ge 2.61-2.68
Pd: 0.5000 0.0000 0.5000  4 Ge 2.70
Pd: 0.7202 0.5000 0.2202  6 Ge 2.61-2.68

Properties
- energy relative to the elements (eV/atom) = -0.43
- volume (A^3/atom) = 21.41
- offset from the most stable computed form (eV/atom) = 0.036
- magnetization (μB/cell) = 0.00

---

(3)
Entry from Alexandria via LeMat-Bulk: a relaxed structure of BiWN3 (PBE).

Unit cell a=4.0014 b=4.0014 c=4.0014 alpha=90.00 beta=90.00 gamma=90.00
Last column: nearest neighbours and their distance in Å.
Fractional coordinates of all 5 atoms:
Bi: 0.0000 0.0000 0.0000  12 N 2.83
W: 0.5000 0.5000 0.5000  6 N 2.00
N: 0.0000 0.5000 0.5000  2 W 2.00
N: 0.5000 0.0000 0.5000  2 W 2.00
N: 0.5000 0.5000 0.0000  2 W 2.00

Properties
- volume (A^3/atom) = 12.81
- E_form (uncorrected) (eV/atom) = 0.33
- magnetization (μB/cell) = 0.00

---

Repeat the second record exactly.
Entry from Alexandria via LeMat-Bulk: a relaxed structure of Sr3Ge8Pd3 (PBE).

Unit cell a=8.6716 b=8.6716 c=8.6716 alpha=150.88 beta=105.49 gamma=81.91
Last column: nearest neighbours and their distance in Å.
Fractional coordinates of all 14 atoms:
Sr: 0.0000 0.0000 0.0000  12 Ge 3.37-3.42, 4 Pd 3.66
Sr: 0.3138 0.3138 0.0000  8 Ge 3.23-3.27, 4 Pd 3.27-3.36
Sr: 0.6862 0.6862 0.0000  8 Ge 3.23-3.27, 4 Pd 3.27-3.36
Ge: 0.0262 0.6627 0.3635  1 Pd 2.61, 3 Ge 2.77-2.87
Ge: 0.1709 0.8812 0.2897  3 Pd 2.68-2.70, 3 Ge 2.77-2.96
Ge: 0.2992 0.6627 0.6365  1 Pd 2.61, 3 Ge 2.77-2.87
Ge: 0.4085 0.1188 0.2897  3 Pd 2.68-2.70, 3 Ge 2.77-2.96
Ge: 0.5915 0.8812 0.7103  3 Pd 2.68-2.70, 3 Ge 2.77-2.96
Ge: 0.7008 0.3373 0.3635  1 Pd 2.61, 3 Ge 2.77-2.87
Ge: 0.8291 0.1188 0.7103  3 Pd 2.68-2.70, 3 Ge 2.77-2.96
Ge: 0.9738 0.3373 0.6365  1 Pd 2.61, 3 Ge 2.77-2.87
Pd: 0.2798 0.5000 0.7798  6 Ge 2.61-2.68
Pd: 0.5000 0.0000 0.5000  4 Ge 2.70
Pd: 0.7202 0.5000 0.2202  6 Ge 2.61-2.68

Properties
- energy relative to the elements (eV/atom) = -0.43
- volume (A^3/atom) = 21.41
- offset from the most stable computed form (eV/atom) = 0.036
- magnetization (μB/cell) = 0.00

=====

DFT (GGA-PBE) results for a relaxed structure of ThAlI.

Lattice parameters (Å, degrees): 4.3209 4.3209 12.7672 99.97 99.97 60.00
Closest atoms and distances in Å follow each position.
Positions (direct):
Th 0.0555 0.0555 0.1626  6 Al 3.19-3.25, 3 I 3.29